Building trust in a relationship

-- Next to the entry, the page also holds calculated crystals --
- - -
Computed, not measured: crystalline Na4AsPd3O8 at its relaxed geometry at the PBE level of DFT.

a = 12.1617 Å, b = 5.9059 Å, c = 6.2324 Å
α = 90.00°, β = 116.61°, γ = 90.00°
Space group C2/m (No. 12)
Unique sites:
Na  0.0000  0.0000  0.0000
Na  0.0000  0.5000  0.0000
Na  0.2500  0.2500  0.5000
As  0.0000  0.0000  0.5000
Pd  0.0000  0.5000  0.5000
Pd  0.2500  0.2500  0.0000
O  0.0329  0.2300  0.3306
O  0.1804  0.0000  0.7307
O  0.2353  0.0000  0.1986

Values from the calculation:
Theoretical density (g cm⁻³): 5.096
Formation energy from raw total energies (eV/atom): -1.069
D(E_F) (states/eV/f.u.): 2.258

Computed, not measured: crystalline NaPm2AsO5 at its relaxed geometry at the PBE level of DFT.

a = 6.7560 Å, b = 6.7560 Å, c = 11.9618 Å
α = 90.00°, β = 90.00°, γ = 90.00°
Space group I4/mcm (No. 140)
Unique sites:
Na  0.0000  0.0000  0.2500
Pm  0.1773  0.3227  0.0000
As  0.0000  0.5000  0.2500
O  0.0000  0.0000  0.0000
O  0.1407  0.3593  0.3746

Values from the calculation:
Theoretical density (g cm⁻³): 5.692
Formation energy from raw total energies (eV/atom): -2.250

Q: Which total magnetization values were calculated for the entries above? A: 0.9, 0.0, in μB per formula unit.
- - -

Author: Tamara Smith
Date Of Creation: 20 January 2021
Update Date: 1 July 2024
How to build (and rebuild) trust | Frances Frei
Video: How to build (and rebuild) trust | Frances Frei


The happiest, most satisfying relationships are built on a foundation of implied trust. If you want your relationship to be all it can be, then both of you will have to learn to create this type of trust. Most couples think of trust only as not cheating, but in principle there is a lot more to it ...

To step

Part 1 of 3: Maintaining mutual core values ​​within a relationship

  1. Stay true. If a partner isn't loyal, a relationship quickly becomes unworkable. People can recover from an affair, but usually need professional help. Make a commitment to be faithful and stick to it. If you are not happy in the relationship, seek guidance and not a part-time lover.
    • If you are loyal to someone, it means that you are faithful on all levels. This means physical but also emotional. Some people think it is okay to form intimate bonds because they are just spending time with another person without anything else happening; But that's not true. It will eventually lead to problems in your relationship.
    • Be as clear as possible about appropriate boundaries. What is appropriate varies from culture to culture, and often also depends on a person's age. But it all comes down to understanding what's respectful, clear, and not uncomfortable to ask for from a romantic relationship.
      • For example, going out with someone once is not a steady relationship. If a person asks you out on a date, make sure this is clear; it can feel awkward when a woman isn't quite sure whether she's in a restaurant as a date or as a regular girlfriend.
      • State whether you consider a sexual relationship casual or more serious. Some people find relationships that involve "quickies" or "friends with benefits" fine. Others see sexual relationships as a special, profound emotional act with someone they have a committed relationship with.
      • There are a wide variety of behaviors within a relationship that are considered "union", from traditional marriage and "cohabitation" to the more radical "open relationships" and polyamory. A person looking for a traditional marriage may be disappointed if the intended mate is looking for something different.
  2. Give your partner space and encourage kindness. Trust is built in an atmosphere of safety and security. The cycle of hurting each other, verbally or physically, and then rejecting the other person creates a lot of fear that undermines trust. Trying to control your partner's every move is another type of mistrust, so avoid clinging to your loved one in a possessive way. That will only push him or her away from you.
    • If your love partner wants to spend different time with friends, try to be at peace with that. However, you can always talk about what is acceptable behavior and what is not. For example, if your partner tells you that he or she wants to go to a dance with friends, and you feel uncomfortable about it, then that is something to talk about (both in this case and for the future), so that it does not always occur. occurs again.
  3. Love your partner without any ulterior motives. Both of you will need to be sure that the other loves you for who you are, and not for any other reason. That could be family, your money or your appearance, or even the fear of being alone. Make sure you are with your partner for the right reasons.
  4. Make your relationship a top priority. It's all too easy to start taking each other for granted and ignoring each other. Don't try to put all your energy and time into other people or activities. Keep your priorities clear. If your relationship is important to you, make sure it stays at the top of your list.
  5. Don't abandon the other. Misunderstandings, conflict and anger will arise. However, allow disagreements and the careful expression of anger to arise without creating separation anxiety. So never use the threat that you are leaving.

== Crystal structures, kept here for reference ==
# Sc2Fe12P7 | the Alexandria database | GGA-PBE | relaxed
data_Sc2Fe12P7
_cell_length_a 8.8643
_cell_length_b 8.8643
_cell_length_c 3.5839
_cell_angle_alpha 90.00
_cell_angle_beta 90.00
_cell_angle_gamma 120.00
_space_group_name_H-M_alt 'P -6'
_space_group_IT_number 174
loop_
_space_group_symop_operation_xyz
'x,y,z'
'-x+y,-x,-z'
'-y,x-y,z'
'x,y,-z'
'-x+y,-x,z'
'-y,x-y,-z'
loop_
_atom_site_label
_atom_site_type_symbol
_atom_site_fract_x
_atom_site_fract_y
_atom_site_fract_z
_atom_site_occupancy
Sc1 Sc 0.0000 0.0000 0.0000 1
Sc2 Sc 0.3333 0.6667 0.5000 1
Fe1 Fe 0.0519 0.2847 0.5000 1
Fe2 Fe 0.0955 0.7054 0.0000 1
Fe3 Fe 0.3890 0.1740 0.0000 1
Fe4 Fe 0.5452 0.4278 0.5000 1
P1 P 0.0828 0.4536 0.0000 1
P2 P 0.2597 0.2159 0.5000 1
P3 P 0.6667 0.3333 0.0000 1
# Crystal system: hexagonal
# Energy of formation: -0.728 eV per atom
# VASP energy: -7.97 eV/atom

***

# ScFeP2 | the Alexandria database | GGA-PBE | relaxed
data_ScFeP2
_cell_length_a 3.788
_cell_length_b 5.038
_cell_length_c 6.156
_cell_angle_alpha 90.00
_cell_angle_beta 90.00
_cell_angle_gamma 90.00
_space_group_name_H-M_alt 'C m m m'
_space_group_IT_number 65
_space_group_name_Hall '-C 2 2'
loop_
_atom_site_label
_atom_site_type_symbol
_atom_site_fract_x
_atom_site_fract_y
_atom_site_fract_z
_atom_site_occupancy
Sc1 Sc 0.000 0.000 0.000 1
Fe1 Fe 0.000 0.000 0.500 1
P1 P 0.000 0.500 0.289 1
# Energy above the most stable polymorph in this dataset: 7.186 kcal/mol of atoms
# Crystal system: orthorhombic
# Energy of formation: -0.471 eV per atom
# VASP energy: -6.87 eV/atom

***

# ScFeP | the Alexandria database | GGA-PBE | relaxed
data_ScFeP
_cell_length_a 6.064
_cell_length_b 6.064
_cell_length_c 6.064
_cell_angle_alpha 90.00
_cell_angle_beta 90.00
_cell_angle_gamma 90.00
_space_group_name_H-M_alt 'F -4 3 m'
_space_group_IT_number 216
_space_group_name_Hall 'F -4 2 3'
loop_
_atom_site_label
_atom_site_type_symbol
_atom_site_fract_x
_atom_site_fract_y
_atom_site_fract_z
_atom_site_occupancy
Sc1 Sc 0.000 0.000 0.000 1
Fe1 Fe 0.250 0.250 0.250 1
P1 P 0.250 0.250 0.750 1
# Crystal system: cubic
# Energy of formation: 0.137 eV per atom
# VASP energy: -6.60 eV/atom

***

What is the energy of formation in the second record? -0.471 eV per atom

***

Number 1 is which compound? Sc2Fe12P7

~~~~~

VASP calculation (PBE-GGA) on CeTl2Zn3F12 after structural relaxation.

The value obtained for the formation energy without anion corrections is -2.555 eV per atom. Its space-group type is R-3m (166).

a = 7.2509 Å, b = 7.2509 Å, c = 7.2509 Å
α = 63.10°, β = 63.10°, γ = 63.10°
Last column: nearest neighbours and their distance in Å.
Fractional positions:
Ce1 0.0000 0.0000 0.0000  6 F 2.27
Tl1 0.6094 0.6094 0.6094  6 F 2.84-3.15
Tl2 0.3906 0.3906 0.3906  6 F 2.84-3.15
Zn1 0.5000 0.0000 0.0000  6 F 2.00-2.13
Zn2 0.0000 0.5000 0.0000  6 F 2.00-2.13
Zn3 0.0000 0.0000 0.5000  6 F 2.00-2.13
F1 0.2752 0.2752 0.8964  2 Zn 2.00
F2 0.8808 0.8808 0.3692  1 Zn 2.13, 1 Ce 2.27
F3 0.3692 0.8808 0.8808  1 Zn 2.13, 1 Ce 2.27

Part 2 of 3: Building trust on your part

  1. Stick to your routine. A lot of people believe that constantly changing things guarantees a good relationship. In other words, he or she is always planning something new to surprise the other. While surprises are nice from time to time, stability and uniformity are much more important within a relationship. Uniformity sounds boring, but you have to be somewhat predictable to make things workable in the long run. Predictability builds confidence.
  2. Be trustworthy. Trust is just another way of saying you can trust someone. You trust that your partner will do certain things no matter what. This trust creates security within a relationship. Make sure your partner can always count on you.
    • If you say you will be home by 5 p.m., do so, or at least let the other person know that something has come up. The most important factor in this is consistency. If you just come home 4 times out of 5 when you want and don't bother to call, that's a strong indicator that your needs are more important to you than your partner. A happy, successful relationship is when both parties make an effort to keep agreements.
  3. Mean what you say. Your partner can read your face better than anyone else. If you lie or try to hide true feelings by not fully expressing what's going on inside you, he or she will notice. The person may even think you've cheated on you. When the person knows that he or she can trust whatever comes out of your mouth without hesitation, you build an unshakable bond.
  4. Tell the truth. Do not keep anything hidden, nothing should be kept secret from the other. Sooner or later the truth will come to light, and the consequences of not being completely honest with the other person will ruin trust and your relationship.
  5. Tell the other person what your real feelings are. Too many people never let their partners know what they really need. Don't let your partner wonder or guess what to do for you. It is essential that both partners adhere to this. If only one partner takes care of the other, it is great that one feels suffocated in the relationship, or that the other feels neglected. Both scenarios are not good.
  6. Say no every now and then. It's good to listen to and always try to meet your partner's needs, but sometimes it's just as valuable to say no. You can't do everything all the time, and you will actually build respect from the other person if you refuse to do something now and then. Standing up for something and enforcing your own will can actually improve trust between you.

Part 3 of 3: Promoting trust in your partner

Misplaced data records.
=====
Density functional theory data (GGA-PBE) for La2NdPd9 after structural relaxation.

Formation energy (meV/atom): -782

a b c (Å): 4.2245 4.2245 12.6629
angles (deg): 90.00 90.00 90.00
Sites, in units of the cell vectors:
La 0.0000 0.0000 0.1682
La 0.0000 0.0000 0.8318
Nd 0.0000 0.0000 0.5000
Pd 0.0000 0.5000 0.0000
Pd 0.0000 0.5000 0.3345
Pd 0.0000 0.5000 0.6655
Pd 0.5000 0.0000 0.0000
Pd 0.5000 0.0000 0.3345
Pd 0.5000 0.0000 0.6655
Pd 0.5000 0.5000 0.1670
Pd 0.5000 0.5000 0.5000
Pd 0.5000 0.5000 0.8330

----------

[1]
DFT (PBE) results for Tb6DyZn2 after structural relaxation.

As for the crystal system: tetragonal. As for the distance to the lowest polymorph of the same formula: 39.2 kJ/mol of atoms.

The structure belongs to space group I4/mmm (No. 139); the cell edges are 4.808, 4.808 and 25.203 Å and the angles 90.00°, 90.00° and 90.00°. The distinct sites, in fractional coordinates, are Tb at (0.000, 0.500, 0.107), Tb at (0.000, 0.500, 0.250), Dy at (0.000, 0.000, 0.000) and Zn at (0.000, 0.000, 0.323).

=====

[2]
DFT (PBE) results for SmHf3N4 after structural relaxation.

The uncorrected formation energy comes out at -1.71 eV/atom. As for the crystal system: hexagonal.

The structure belongs to space group P6_3/mmc (No. 194); the cell edges are 3.2674, 3.2674 and 21.8360 Å and the angles 90.00°, 90.00° and 120.00°. The distinct sites, in fractional coordinates, are Sm at (0.3333, 0.6667, 0.2500), Hf at (0.0000, 0.0000, 0.0000), Hf at (0.3333, 0.6667, 0.6197), N at (0.0000, 0.0000, 0.1734) and N at (0.3333, 0.6667, 0.0592).

=====

[3]
DFT (PBE) results for YLuThTl after structural relaxation.

Its raw total energy is -5.1747 eV per atom. As for the crystal system: cubic.

The structure belongs to space group F-43m (No. 216); the cell edges are 7.757, 7.757 and 7.757 Å and the angles 90.00°, 90.00° and 90.00°. The distinct sites, in fractional coordinates, are Y at (0.000, 0.000, 0.000), Lu at (0.250, 0.250, 0.250), Th at (0.000, 0.000, 0.500) and Tl at (0.250, 0.250, 0.750).
=====
End of the data records.

  1. Believe in your partner's competence. In other words, if you are convinced that your partner is not competent in some of the things he or she does, then your trust is not solid. If this is the case, then you should be honest with him or her about those matters, in an honest and loving way. This will allow you to process this and continue to trust each other.
  2. Trust your partner. How can your partner trust you when you don't trust him or her? Trust takes two people, and without the other person building trust, this is like a fish without water.
    • This is where you have the opportunity to practice vulnerability. Trusting another person often comes down to how you feel inside. In other words, if you tend to become insecure about things, it can negatively affect your relationship. You have every reason to trust the other until the person actually does something that makes it clear that trust is not justified.
  3. Give the other person the benefit of the doubt. An indicator of trust issues is the tendency to think the worst in every possible situation. Just because your partner doesn't answer the phone doesn't mean the person is cheating on you. When you trust your partner, it means that you are giving him or her the benefit of the doubt. Everyone deserves a chance to explain a matter before coming to a conclusion. Only then can it be considered objectively.
  4. Don't touch your partner's phone. Do one of you (or both of you) have passwords on your mobile? If so, it could be a sign of trust issues. Privacy is important, it doesn't mean your phone should be protected like Fort Knox.If there is a true relationship of trust, the other person will respect your privacy, even if he or she has access to your phone. But the bigger problem is when you feel that the person calling your partner is a threat to your relationship; in that case there are clear trust issues that need to be addressed.
  5. Give your partner self-determination in his or her life. Often in trust issues there will be a desire to control everything the other person does and with whom. It's easy to have a territorial drive and feel threatened by anyone. However, trust is about believing in the other person and giving that person free rein. When you trust someone, it also means that you have confidence in yourself, which promotes healthier relationships in the long run.


  • There will always be trials in a relationship, but when you face problems with an open mind and actively face challenges, trust in the relationship will grow stronger.


  • Trust cannot be maintained if you do something behind your partner's back (such as cheating). Your partner will eventually find out and stop trusting you. And once trust is gone, it can never be fully restored, and there will always be a little bit of doubt, instead of full trust.